Thursday, December 25, 2008
Thursday, December 04, 2008
Monday, December 01, 2008
Sunday, November 30, 2008
10 Reasons to Smile
Reason One:

I have this picture framed in my room, and the other morning it was the first thing I saw when I opened my eyes :)
Thursday, November 06, 2008
Syncro - First Day
Monday, November 03, 2008
First Day
Monday, October 20, 2008
I work at the Heartland Inn and we need a name for our Lounge open early 2009, and I need some ideas, I can't think of anything!
Let me know what you think, give me some ideas of names!!!
Saturday, October 18, 2008
Night Shift Ramblings
*I love the smell when it has rained - fresh, clean, pure, innocent.
*I love the sound, the smell, the feeling in a completly empty arena-when you are the only one, its so quiet, and peaceful.
*I am feeling good about our Syncro routine so far!
*Enjoyed supper tonight with the team-so many memories.
*Who would have thought that lettuce on a pizza would be a good idea - genius...BLT pizza...yummm
*Kinda annoyed that there are only a few test days all season for high tests...arghhhh...just want to pass all my dances.
*Is excited about the getting to eat at the Country Kitchen tomorrow...only one in Canada...and its right here in Winkler
*Is in need of some rocking CanSkate music
*Had a good first day coaching in Morden on Friday - the kids are so great!
*Need to practice practice practice all my turns on Tuesday.
*Had fun at the Syncro workshop today - good bonding experience.
*Thinking tomorrow will be a good day
*Is glad that everything worked out at work
*Is feeling okay about coaching starting next month...only a few weeks away...although kinda freaking out about learning the syncro points system...why must it be soooo confusing and sooooo technical.
*Is glad Pam is always just an email away:D
Thats all for night shift ramblings.
Hope you all have a great week!
Sunday, October 05, 2008
Saturday, October 04, 2008
Friday, September 05, 2008
Goodbye Summer, Hello Chaos
I got offered a coaching job coaching groupskate in Morden about a month ago, and I said yes, it is the perfect opportunity for a new coach because you are getting to know the up and coming skaters who will likely be your private lesson skaters in a few years, so that was exciting. Then a few weeks ago, I got approached by a few different people about coaching this winter, and I told them all I would think about it, but I didn't give any definates. I debated what I wanted to do, weighed the pro's and con's and decided to take the two other coaching jobs I was offered. So, I am going to be coaching in Manitou [Head Coach], as well I will be Coaching StarSkate and Syncro in Notre Dame. I am so excited and completely freaked out about coaching Syncro, and so when I was told that my Syncro coach referred me it was a huge complement and reassurance that I could handle it. So needless to say, this winter is going to be super busy, but I am excited about the new opportunities and challenges. I am going to start looking for music for Syncro in the next few days, so if anybody has any ideas for music, let me know.
So for a while now, my friend and I have wanted to have a girls weekend, and so we decided that we should go to Winnipeg for the weekend, so on Saturday my friend and I are going into the city, getting our nails done, and staying at the Clarion hotel and just relaxing for the weekend. It's going to be so nice to have one last weekend before I need to start planning for skating. I'm so excited.
Thanksgiving is coming up soon and my parents and I are going to Saskatoon to visit my brother, and SIL as well as Brendan, it is his birthday the weekend before so we are going out for that as well. I can't wait to see my little man.
Anyways, thats all for now.
I hope you are having a great week
God Bless
Friday, August 22, 2008
Thursday, August 14, 2008
Life's Too Short
This week the world lost a great man, and my heart goes out to his family, and I pray that God gives them peace and comfort during this time of unimaginable pain and loss.
I leave you with this:
But we feel like we do when we make fun of him
Cause you want to belong do you go along
Cause his pain is the price paid for you to belong
Its not like we hate him or want him to die
But maybe he goes home and thinks suicide
Or he comes back to school with a gun at his side
And a kindness from you might have saved his life
Heroes are made when you make a choice
You could be a hero
Heroes do whats right
You could be a hero, You might save a life
You could be a hero, You could join a fight
For whats right for whats right for whats right
No one talks to her, she feels so alone
Shes in too much pain to survive on her own
The hurt she cant handle overflows to a knife
She writes on her arm, wants to give up her life
Each day she goes on is a day that she's brave,
Fighting the lie that giving up is the way,
Each moment of courage her own life she saves when she throws the pills out, a hero is made
No one talks to him about how he lives
He thinks that the choices he makes are just his
Doesn't know he's a leader with the way he behaves
And others will follow the choices hes made
He lives on the edge, hes old enough to decide
His brother who wants to be him is just nine
He can do what he wants because its his right
The choices he makes change a nine year olds life
Little Micky Dee was the one in class who every day got totally harassed,
This went on for years until he decided he would never shed another tear,
So he walked through the door, grabbed a 44 and Said "I can't take life no more",
and just like that life can be lost,
But this ain't even about that, All of us just sat back and watched it happened,
Think it's not our responsibility to solve a problem that isn't about me,
This is our problem this is just one of the daily scenarios which we choose to cause a rise,
Instead of doing the right thing, If we make a choice,
To be the voice, for those who won't speak up for themselves,
How many life's would we save, ? rearranged now it's our turn to pick a side,
So don't keep walking by not wanting to intervene, cause you just wanna exist but never be seen So lets wake up , Change the world, Our time is now
Friday, July 25, 2008
It's been awhile
I'm loving my new job, the people are great, it's nice being appreciated at work, and liking what you do, it makes the day go by so much faster! I really enjoy getting to know the guests, especially those staying awhile, I've learned to be more outgoing, and have more confidence in myself, its very easy to second guess yourself, but I am becoming more confident in my abilities.
I'm still skating, I took a few weeks off when there was no ice, went on a little vacation to Saskatoon which was so much fun, it was so nice not having to be anywhere at a particular time, sleeping in was fantastic, and spending time with Brendan was so great, [Kevin and Rach you were great't worry I didn't forget about you two:D] I'm not sure if it's just a new time in my life or if I am just more open minded, but lately I've been really impacted and inspired by almost everything. I feel more creative and more driven and passionate, which is good, but its not like I'm being inspired by new things its things I have dealt with before things I have seen before or heard before, its kinda strange but also very uplifting at the same time.
Back to skating, I just bought new skates, so far everything is still there I didn't lose any jumps or spins or anything, but they are pretty stiff, I started skating again last week, and it was good to be back on the ice, I'm looking forward to coaching and skating, it will be a new challenge but I'm ready for it.
I hope everybody is having a fantastic summer!!!
Friday, June 27, 2008
4 Days Left!!
Kevin and Rachel are coming home tonight, and I am super excited to see them but to be perfectly honest, I am super duper excited to see Brendan, sorry guys, Baby ALWAYS They are staying until July 7th, and then I am going home with them and staying for a week and then flying home on July 14th, I have never flown before but I am so excited about the new opportunity. Anyways, I am sure I will have some awesome pictures to post in the next few days of the two most awesome people in the whole world...Brendan and Me!!
Anyways thats All for me for now, I hope you are having a great day!!!
God Bless
Friday, June 13, 2008
Thursday, June 12, 2008
Monday, June 02, 2008
Proud to be a Nascar Girl

So, now I am a huge Nascar Fan.
Friday, May 30, 2008
...and the winner is...

David Cook
American Idol Season 7 winner

Kristi Yamaguchi
Dancing with the Stars season 6 winner

**Inserted here: data records**
~~~
1.
# BaNd2O4

An optimized crystal structure of BaNd2O4 (PBE-GGA, Materials Project).

Properties
E, eV/atom: -7.5847
Formation enthalpy at 0 K, eV per atom: -3.5134
Symmetry: Pnma
Crystal system: orthorhombic

```
BaNd2O4
1.0
10.743 0.000 0.000
0.000 3.634 0.000
0.000 0.000 12.604
Ba Nd O
4 8 16
Cartesian
2.669 0.908 1.853
2.703 2.725 8.155
8.040 0.908 4.449
8.075 2.725 10.751
0.815 0.908 11.190
0.848 0.908 4.898
4.524 2.725 11.200
4.556 2.725 4.888
6.187 0.908 7.716
6.219 0.908 1.404
9.895 2.725 7.706
9.928 2.725 1.414
0.164 2.725 9.866
0.763 0.908 7.262
1.306 2.725 0.236
2.271 2.725 4.167
3.100 0.908 10.469
4.066 0.908 6.538
4.608 2.725 0.960
5.207 0.908 3.564
5.536 2.725 9.040
6.135 0.908 11.644
6.678 2.725 6.066
7.643 2.725 2.135
8.472 0.908 8.437
9.437 0.908 12.368
9.980 2.725 5.342
10.579 0.908 2.738
```

=====

2.
# BaNdO3

An optimized crystal structure of BaNdO3 (PBE-GGA, Materials Project).

Properties
E, eV/atom: -6.8886
Formation enthalpy at 0 K, eV per atom: -2.9946
Symmetry: R-3c
Crystal system: trigonal

```
BaNdO3
1.0
3.237 1.869 5.163
-3.237 1.869 5.163
0.000 -3.738 5.163
Ba Nd O
2 2 6
Cartesian
0.000 0.000 3.872
0.000 0.000 11.616
0.000 0.000 0.000
0.000 0.000 7.744
-1.891 0.462 6.453
-1.346 -1.407 9.034
0.546 -1.869 6.453
-0.546 1.869 9.034
1.346 1.407 6.453
1.891 -0.462 9.034
```

=====

3.
# BaNdO3

An optimized crystal structure of BaNdO3 (PBE-GGA, Materials Project).

Properties
E, eV/atom: -6.8259
Formation enthalpy at 0 K, eV per atom: -2.9319
Symmetry: Pm-3m
Crystal system: cubic

```
BaNdO3
1.0
4.557 0.000 0.000
0.000 4.557 0.000
0.000 0.000 4.557
Ba Nd O
1 1 3
Cartesian
0.000 0.000 0.000
2.278 2.278 2.278
0.000 2.278 2.278
2.278 0.000 2.278
2.278 2.278 0.000
```

=====

4.
# Ba4Nd4Zn3PtO15

An optimized crystal structure of Ba4Nd4Zn3PtO15 (PBE-GGA, Materials Project).

Properties
E, eV/atom: -6.5329
Formation enthalpy at 0 K, eV per atom: -2.8102
Symmetry: P6_3mc
Crystal system: hexagonal

```
Ba4Nd4Zn3PtO15
1.0
11.882 0.000 0.000
-5.941 10.290 0.000
0.000 0.000 6.871
Ba Nd Zn Pt O
8 8 6 2 30
Cartesian
0.000 3.562 0.000
-2.856 8.509 0.000
0.000 6.860 4.675
3.085 1.781 3.435
2.856 8.509 0.000
5.941 3.430 1.240
8.797 1.781 3.435
5.941 6.728 3.435
0.000 0.000 1.257
0.000 0.000 4.692
-2.560 5.382 2.348
2.560 5.382 2.348
0.000 9.816 2.348
5.941 0.474 5.783
3.381 4.908 5.783
8.501 4.908 5.783
0.000 3.526 3.552
-2.887 8.527 3.552
3.054 1.763 0.117
2.887 8.527 3.552
8.828 1.763 0.117
5.941 6.763 0.117
0.000 6.860 1.080
5.941 3.430 4.515
-1.672 4.064 4.407
-3.257 6.810 4.407
0.000 1.719 2.832
-4.452 9.430 2.832
1.488 0.859 6.268
-1.484 6.003 6.850
0.000 5.168 2.266
-1.465 7.706 2.266
1.672 4.064 4.407
-1.585 9.706 4.407
4.355 0.584 0.972
2.684 3.480 0.972
1.484 6.003 6.850
0.000 8.574 6.850
1.465 7.706 2.266
4.475 2.584 5.701
5.941 1.716 3.415
4.456 4.287 3.415
3.257 6.810 4.407
1.585 9.706 4.407
7.526 0.584 0.972
4.269 6.226 0.972
7.406 2.584 5.701
5.941 5.122 5.701
7.425 4.287 3.415
4.452 9.430 2.832
10.393 0.859 6.268
~~~

Coca-Cola 600 winner
Sprint All-Star Challenge winner

Friday, May 16, 2008
For starters I took my last coaching course at the beginning of May, so I can now coach, I've already started, there is this little girl in Morden who was coached by a friend of mine but she broke her foot so she asked me to take over for her for the time being. I love coaching...I can't wait until fall when I can really get into it. I'm so pumped!!!
Continuing with skating, I haven't had to much success with testing lately, I passed my Vienesse Waltz at the end of April, so I'll be testing again in August, so I have alot of work to do yet to get everything ready, but I think I'll be fine. I'm getting new skates which should make things interesting, hopefully it won't change anything. I'm getting them hopefully in July, so they should be good and broken-in by test day.
On to other things...the weather has been beautiful lately and today is no exception...I've been spending as much time as possible outside. Of course with nice weather comes lots of pictures!

The one day Naomi and Logan were playing on the trampoline [Josiah was at school] and they were playing so nicely to together and I snapped some super cute pictures of themand I can't forget logans orange of our old neighbors found it at at garage sale and gave it to them and logan just goes nuts when he is driving it...he rips around the corners...and so here is my 'ode to the orange car.'
and I will leave you with my favorite picture of my favorite trio.
Thursday, May 01, 2008
I'm still here
Hope you are having a great week!
Friday, March 28, 2008
Sunday, March 23, 2008
Happy Easter
Well last weekend was a busy busy one, on Friday I got off work and headed over to the rink, it being the last practice before carnival and everything and then raced home and headed across the street to babysat in the evening. On Saturday I had a Competition as well as Carnival in the evening. The Competition was for Syncro and was in Virden and it didn't go very well, we had a few falls and one of my teamates was really sick and actually went to the hospital after we competed, she is okay though she had a migrane and dehydration, that along with the stresses of cometiting, she just felt really really awful. After we skated we raced home, because we skated at 4pm and Carnival started at 7pm and its a 3ish hour drive to Virden so I didn't even take my skates off, until we were driving, and I had to change and everything in the backseat. We got to the Arena in Winkler just as they were singing Oh Canada, so we weren't too late. Carnival went pretty good, it was fun. On Sunday I had a test day and an easter gathering. Test Day wasn't very successful, I failed all three of my tests; two dances and one skills. My easter gathering was pretty good, me and my cousing played dance dance revolution and I met my cousins girlfriend for the first time and she was pretty cool.

These records of crystals were left in the page by mistake.
Record 1
## Na2Al2Si3H4O12 (GGA-PBE)

Data for a relaxed Na2Al2Si3H4O12 crystal.

Lattice parameters (Å, degrees): 8.0798 8.4616 8.9424 103.18 99.96 96.66
Closest atoms and distances in Å follow each position.
Space group P1 (No. 1)
Unique sites:
Na 0.0000 0.0000 0.0000 x1  5 O 2.33-2.61
Na 0.0021 0.5694 0.5114 x1  4 O 2.27-2.49, 1 H 2.44
Na 0.2427 0.2302 0.3908 x1  4 O 2.30-2.44
Na 0.6217 0.4558 0.3095 x1  6 O 2.35-2.55
Al 0.0735 0.3898 0.1173 x1  4 O 1.77-1.91
Al 0.5729 0.7957 0.9250 x1  3 O 1.77-1.93
Al 0.8723 0.1119 0.2859 x1  4 O 1.73-1.86
Al 0.8798 0.7045 0.1367 x1  4 O 1.76-1.93
Si 0.3517 0.1992 0.9468 x1  3 O 1.61-1.68
Si 0.4242 0.7350 0.5447 x1  5 O 1.70-1.83
Si 0.4413 0.0011 0.0787 x1  1 H 1.51
Si 0.6750 0.4327 0.9425 x1  1 H 1.46, 1 O 1.62
Si 0.7144 0.9665 0.6859 x1  4 O 1.61-1.68
Si 0.9374 0.2590 0.6151 x1  4 O 1.60-1.70
H 0.0983 0.5091 0.8837 x1  1 O 1.10
H 0.2191 0.8891 0.5936 x1  1 O 0.98
H 0.3124 0.6289 0.7375 x1  1 O 0.98
H 0.4028 0.9648 0.3153 x1  1 O 0.97
H 0.4140 0.0862 0.7065 x1  1 O 0.99
H 0.6146 0.1064 0.1395 x1  1 Si 1.51
H 0.6538 0.3609 0.7738 x1  1 Si 1.46
H 0.8433 0.7517 0.3908 x1  1 O 0.98
O 0.0064 0.1380 0.4780 x1  1 Si 1.63, 1 Al 1.82
O 0.0594 0.4236 0.7214 x1  1 H 1.43
O 0.0643 0.7175 0.0453 x1  1 O 1.49
O 0.1450 0.5670 0.0093 x1  1 H 1.10
O 0.1806 0.2607 0.9890 x1  1 Si 1.61
O 0.2039 0.4788 0.3255 x1  1 O 1.52
O 0.2226 0.7776 0.5342 x1  1 H 0.98
O 0.3249 0.1376 0.7526 x1  1 H 0.99
O 0.3447 0.0117 0.2350 x1  1 H 0.97
O 0.3807 0.5811 0.3747 x1  1 O 1.52
O 0.4262 0.6753 0.7275 x1  1 H 0.98
O 0.5162 0.9387 0.5809 x1  2 Si 1.67-1.73, 1 H 1.85
O 0.5195 0.3513 0.0129 x1  2 Si 1.65-1.68
O 0.6352 0.6742 0.5476 x1  1 O 1.50
O 0.6703 0.6351 0.9803 x1  1 Si 1.67, 1 Al 1.77
O 0.6970 0.2091 0.3584 x1  1 O 1.54
O 0.7015 0.9352 0.8555 x1  1 Si 1.62, 1 Al 1.77
O 0.7827 0.3373 0.5132 x1  1 O 1.54, 1 Si 1.70
O 0.7876 0.8072 0.5830 x1  1 O 1.50, 1 Si 1.68
O 0.8404 0.1358 0.7085 x1  2 Si 1.61-1.68
O 0.8450 0.9104 0.1704 x1  2 Al 1.75-1.76
O 0.8530 0.6530 0.3125 x1  1 H 0.98
O 0.8617 0.4470 0.0510 x1  1 Si 1.62
O 0.9901 0.2315 0.1965 x1  2 Al 1.73-1.77

Summary:
Energy above the most stable polymorph in this dataset   609 meV/atom
ΔH_f (0 K)   -2.078 eV per atom
Total magnetization   0.000 μB per atom

---

Record 2
## LaFeNi4 (GGA-PBE)

Data for a relaxed LaFeNi4 crystal.

Lattice parameters (Å, degrees): 5.0386 5.0386 3.9634 90.00 90.00 120.00
Closest atoms and distances in Å follow each position.
Space group P-6m2 (No. 187)
Unique sites:
La 0.0000 0.0000 0.0000 x1  3 Fe 2.91, 15 Ni 2.91-3.21
Fe 0.3333 0.6667 0.0000 x1  6 Ni 2.46
Ni 0.5003 0.0005 0.5000 x3  6 Ni 2.46-2.52, 2 Fe 2.46
Ni 0.6667 0.3333 0.0000 x1  6 Ni 2.46

Summary:
ΔH_f (0 K)   -0.200 eV per atom
Total magnetization   0.634 μB per atom

---

Record 3
## MgTi4S8 (GGA-PBE)

Data for a relaxed MgTi4S8 crystal.

Lattice parameters (Å, degrees): 6.8284 6.8284 18.7949 90.00 90.00 120.00
Closest atoms and distances in Å follow each position.

I also got my hair cut this week, I had wanted to cut if for awhile already but I couldn't because of Syncro...since we have to have our hair in a bun, but know that syncro is over I cut it and I love it.
Anyways thats all for now
Have a Happy Easter!!
God Bless
Friday, March 07, 2008
Saturday, February 23, 2008
...and I found out right away because I was testing another dance, but I could only test that dance if I passed the Paso, so my coach went to find out and she came back and told me I better get ready to get my but back on the ice....and then I screamed, and everybody looked, and then everybody knew I had just passed my My other dance, the Quickstep, I failed but that was okay because it's a Gold dance, so they have much higher expectations, and it was my first try so I was okay, I got the important one!
So, my friend knew I was taking this test for the sixth time and I really wanted to pass it so she texted me to see how I did and I told her and today in church she brought me flowers with a Congrats balloon. I was totally surprised and felt so extremely blessed to have a friend like her. I love you Claire!!!!
here's a picture of the flowers....
On another note, we starting Carnival this week and I think it will be unlike any others, which is good. It's going to be alot of fun, especially the StarSkate numbers!
Carnival is on March 15th and you are all invited to come!
That's all for now, hope your having a good day!
I'm going to leave you with my
Top 10 things beautiful things/things that make me smile
[I saw it on another blog and thought it was a great idea]
1. Bring crazy with Brittany during Stolen by Dashboard Confessional at the rink
2. The picture speaks for itself....
3. Mia's stories at the rink [she's one of my skaters]...and the infamous Oinky.
Here's the story...we have this stuffed pig that is covered in blue marker but its still in pretty good shape otherwise so we still use it...anyways I took it out on the ice the one day with a bunch of other stuffed animals and Mia found it and fell in love with it...she named it Oinky and asks for it at every session, and when I say 'I'm gonna get Oinky, she screams and skates away-running away from me. This last monday she told me that Oinky needed a bed so I gave her a plastic container and she put Oinky in there and went on her merry way skating around, and all of a sudden she comes up to me and says 'Your my mom' and I said 'I'm your mom?' and she said 'yeah, Your the mom and I'm the kid and this is our pet Oinky' and so I asked her where we lived, and she said 'in this circle[since we were standing in one of the five circles on the ice]' and then she skated off and I was standing there chuckling to myself, thinking of the imagination in that kid.
4. Sitting out on the beach at night and seeing the moonlight on the water
5. Watching movies with my friends...squished on the coach
6. my bulletin board - which is 'scrapbooked' with pictures, flowers, cut-outs, and a bunch of other stuff.
7. Jordan when she asks for kisses after we've[syncro] skated, so she can have red lips on her cheeks.

8. The way it looks when the trees are frosted and the snow has freshly fallen
9. The Color ORANGE
10. Reed [one of my skaters] telling me he wanted to be
Tiger[from Winnie the Pooh] when he grew up.
Friday, February 15, 2008
My Valentines
Here's a sneak peak.

Someone pasted records of crystals at this point:
********
[1]
! NaCaHfNbO6 (PBE-GGA, relaxed); values from VASP
! Volume = 13.36 Å³/atom
! Energy relative to the elements = -74.89 kcal/mol of atoms
&SYSTEM
  ibrav = 0, nat = 10, ntyp = 5
/
ATOMIC_SPECIES
Na 22.99 Na.upf
Ca 40.08 Ca.upf
Hf 178.49 Hf.upf
Nb 92.91 Nb.upf
O 16.00 O.upf
ATOMIC_POSITIONS crystal
Na 0.750 0.750 0.750
Ca 0.250 0.250 0.250
Hf 0.000 0.000 0.000
Nb 0.500 0.500 0.500
O 0.746 0.254 0.254
O 0.254 0.746 0.746
O 0.746 0.254 0.746
O 0.254 0.746 0.254
O 0.746 0.746 0.254
O 0.254 0.254 0.746
CELL_PARAMETERS angstrom
-0.894 5.251 2.132
-3.808 3.497 -2.489
-4.940 1.216 2.653

[2]
! Na3CaHfP3O12 (PBE-GGA, relaxed); values from VASP
! Volume = 13.97 Å³/atom
! Energy relative to the elements = -68.98 kcal/mol of atoms
&SYSTEM
  ibrav = 0, nat = 120, ntyp = 5
/
ATOMIC_SPECIES
Na 22.99 Na.upf
Ca 40.08 Ca.upf
Hf 178.49 Hf.upf
P 30.97 P.upf
O 16.00 O.upf
ATOMIC_POSITIONS crystal
Na 0.984 0.970 0.495
Na 0.984 0.014 0.995
Na 0.667 0.338 0.828
Na 0.667 0.330 0.328
Na 0.329 0.663 0.162
Na 0.329 0.666 0.662
Na 0.370 0.356 0.246
Na 0.987 0.639 0.246
Na 0.987 0.348 0.746
Na 0.370 0.014 0.746
Na 0.316 0.346 0.580
Na 0.654 0.966 0.579
Na 0.316 0.971 0.080
Na 0.654 0.688 0.079
Na 0.984 0.682 0.912
Na 0.319 0.297 0.913
Na 0.984 0.303 0.412
Na 0.319 0.022 0.413
Ca 0.987 0.994 0.350
Ca 0.987 0.994 0.850
Ca 0.672 0.347 0.684
Ca 0.672 0.325 0.184
Ca 0.329 0.662 0.017
Ca 0.329 0.667 0.517
Hf 0.996 0.992 0.649
Hf 0.996 0.004 0.149
Hf 0.671 0.327 0.983
Hf 0.671 0.343 0.483
Hf 0.342 0.672 0.316
Hf 0.342 0.670 0.816
P 0.291 0.991 0.252
P 0.697 0.705 0.248
P 0.013 0.307 0.254
P 0.291 0.300 0.752
P 0.013 0.706 0.754
P 0.697 0.992 0.748
P 0.961 0.321 0.585
P 0.367 0.043 0.586
P 0.674 0.636 0.584
P 0.961 0.640 0.085
P 0.674 0.038 0.084
P 0.367 0.324 0.086
P 0.628 0.655 0.921
P 0.033 0.375 0.915
P 0.343 0.970 0.918
P 0.628 0.973 0.421
P 0.343 0.373 0.418
P 0.033 0.658 0.415
O 0.214 0.013 0.308
O 0.808 0.782 0.301
O 0.994 0.218 0.312
O 0.214 0.201 0.808
O 0.994 0.776 0.812
O 0.808 0.026 0.801
O 0.785 0.970 0.692
O 0.170 0.204 0.698
O 0.028 0.826 0.701
O 0.785 0.815 0.192
O 0.028 0.202 0.201
O 0.170 0.966 0.198
O 0.886 0.340 0.642
O 0.465 0.120 0.642
O 0.640 0.531 0.637
O 0.886 0.546 0.142
O 0.640 0.109 0.137
O 0.465 0.344 0.142
O 0.463 0.298 0.031
O 0.845 0.540 0.031
O 0.695 0.151 0.028
O 0.463 0.164 0.531
O 0.695 0.543 0.528
O 0.845 0.305 0.531
O 0.557 0.675 0.978
O 0.140 0.457 0.968
O 0.316 0.871 0.974
O 0.557 0.883 0.478
O 0.316 0.445 0.474
O 0.140 0.683 0.468
O 0.123 0.633 0.359
O 0.507 0.870 0.368
O 0.361 0.487 0.363
O 0.123 0.490 0.859
O 0.361 0.874 0.863
O 0.507 0.637 0.868
O 0.010 0.810 0.410
O 0.808 0.012 0.414
O 0.193 0.194 0.411
O 0.010 0.200 0.910
O 0.193 0.998 0.911
O 0.808 0.796 0.914
O 0.961 0.149 0.587
O 0.192 0.037 0.589
O 0.840 0.811 0.588
O 0.961 0.813 0.087
O 0.840 0.029 0.088
O 0.192 0.155 0.089
O 0.665 0.140 0.743
O 0.464 0.318 0.745
O 0.872 0.524 0.747
O 0.665 0.525 0.243
O 0.872 0.348 0.247
O 0.464 0.145 0.245
O 0.628 0.482 0.921
********

Sunday, February 10, 2008
Monday, February 04, 2008
Unfortunately I don't have any pics of my team [Junior] or the Pre-Juvinille at the moment so if I can find some I'll post them then.
Hope you are having a great day!
Saturday, January 26, 2008
Monday, January 21, 2008
Things are still hectic with skating everyday, except Saturday, Carnival is coming up in less than two months...crazy!!! I'm leaving in two weeks for a Syncro Competition in Camrose, Alberta, I kinda have mixed feelings, I'm excited to go, but we still have a ton of work to do before we compete. Regionals went alright, I skated pretty well, the judges didn't really think so, but I can't do anything about that. Since that is the only competition for me this year, I'm kinda done for the season, so I started laying out my goals for next season already, and have been focusing on those these last few practices. I've been looking for some new program music, I haven't decided if I'm going to stick with the same music from this year, or get some new stuff. I'll probably only change one piece of music if I change anything.
That's all for now
God Bless
Tuesday, January 15, 2008
Skate for Her
Skate for her.
Tuesday, January 01, 2008
A Year In Review
Here is a look back at my 2007:

And as I look forward to a new year, full of new experiences, I will hold onto the past to remind me of where I have come from, and where I want to go. I will remember those who broke my heart and those you helped me put it back together. I will take chances and step out of my comfort zone and trust God to keep my heart in tact. I will hold onto the things most important to me and take each day one step at a time, and when it seems like I can't go on, I will hold on to the promise that God is always with me. I will cherish my friends and my family, I will try and live each day to the fullest, and I will make the most of each opportunity, because if I have learned anything in 2007 I have learned that you never know how long things will last, so don't wait for the right moment, just live. I will laugh harder and more often, and I will love with all of my heart. I will hug my friends and tell them how much they mean to me. I will do my best to make people welcome no matter where they are from or what they look like.
All in all my New Years Revolution is to be the best that I can be.